The document discusses using the HTML5 canvas element to render graphics and build games. It explains that the canvas renders to a bitmap and provides a low-level API for drawing. It recommends using buffers to improve performance by saving rendered states. Buffers allow redrawing only updated portions each frame rather than everything. The document also discusses techniques for collision detection, preprocessing sprites, and implementing a basic render cycle with layers.
Malta Ltd Company Formation - A Walk Through - 2014 - Acumum Legal & AdvisoryAcumum - Legal & Advisory
The document provides information on registering a company in Malta. It notes that limited liability companies are the most popular structure and outlines the registration process, which typically takes 6-8 days. It also discusses company name requirements, the memorandum and articles of association, minimum share capital requirements, registration costs, and ongoing annual costs and compliance obligations.
This document provides information about resources for learning Scala for beginners. It lists the title of a beginner's guide to Scala book, two Scala books available on Amazon, the Scala School website, a blog post about Scala and IT, a website with information about Scala, and Twitter hashtags and handles for connecting with the Scala community in Akasaka including meetings tagged #rpscala and #akskscala and the handle @gkojax.
0% tax - how significant tax savings can occur using Malta's Remittance System
A legitimate low tax EU jurisdiction.
== Here the article breaks off for calculated crystals ==
____________
Record 1
The following is a GGA-PBE calculation of an optimized crystal structure of Li3Ag3Pb, from Alexandria via LeMat-Bulk.

Cell lengths 8.0770, 8.0770, 8.0770 Å; angles 90.00, 90.00, 90.00 degrees
Sites, in units of the cell vectors:
Li (0.0349, 0.3084, 0.8782)
Li (0.1218, 0.5349, 0.1916)
Li (0.1916, 0.1218, 0.5349)
Li (0.3084, 0.8782, 0.0349)
Li (0.3782, 0.4651, 0.6916)
Li (0.4651, 0.6916, 0.3782)
Li (0.5349, 0.1916, 0.1218)
Li (0.6218, 0.9651, 0.8084)
Li (0.6916, 0.3782, 0.4651)
Li (0.8084, 0.6218, 0.9651)
Li (0.8782, 0.0349, 0.3084)
Li (0.9651, 0.8084, 0.6218)
Ag (0.1320, 0.6320, 0.8680)
Ag (0.1536, 0.8464, 0.3464)
Ag (0.1676, 0.1676, 0.1676)
Ag (0.3324, 0.8324, 0.6676)
Ag (0.3464, 0.1536, 0.8464)
Ag (0.3680, 0.3680, 0.3680)
Ag (0.6320, 0.8680, 0.1320)
Ag (0.6536, 0.6536, 0.6536)
Ag (0.6676, 0.3324, 0.8324)
Ag (0.8324, 0.6676, 0.3324)
Ag (0.8464, 0.3464, 0.1536)
Ag (0.8680, 0.1320, 0.6320)
Pb (0.0438, 0.4562, 0.5438)
Pb (0.4562, 0.5438, 0.0438)
Pb (0.5438, 0.0438, 0.4562)
Pb (0.9562, 0.9562, 0.9562)

Calculated values
N(E_F) = 2.94 states/eV/f.u.
energy relative to the elements = -11.85 kJ/mol of atoms
crystal system = cubic
energy relative to the lowest polymorph listed for this composition = 0.000 eV/f.u.
total energy = -0.099 Ha/atom
space-group type = P2_13


Record 2
The following is a GGA-PBE calculation of an optimized crystal structure of Li2Ag5Pb3, from Alexandria via LeMat-Bulk.

Cell lengths 9.2708, 9.2708, 9.2708 Å; angles 104.46, 87.06, 143.28 degrees
Sites, in units of the cell vectors:
Li (0.1519, 0.1462, 0.2982)
Li (0.3481, 0.6462, 0.9943)
Li (0.6519, 0.3538, 0.0057)
Li (0.8481, 0.8538, 0.7018)
Ag (0.1526, 0.6392, 0.7919)
Ag (0.2500, 0.5042, 0.2542)
Ag (0.2500, 0.7500, 0.5000)
Ag (0.2500, 0.9958, 0.7458)
Ag (0.3474, 0.1392, 0.4866)
Ag (0.6526, 0.8608, 0.5134)
Ag (0.7500, 0.0042, 0.2542)
Ag (0.7500, 0.2500, 0.5000)
Ag (0.7500, 0.4958, 0.7458)
Ag (0.8474, 0.3608, 0.2081)
Pb (0.2356, 0.3920, 0.6276)
Pb (0.2500, 0.2500, 0.0000)
Pb (0.2644, 0.8920, 0.1564)
Pb (0.7356, 0.1080, 0.8436)
Pb (0.7500, 0.7500, 0.0000)
Pb (0.7644, 0.6080, 0.3724)

Calculated values
N(E_F) = 3.90 states/eV/f.u.
energy relative to the elements = 4.18 kJ/mol of atoms
crystal system = orthorhombic
total energy = -0.106 Ha/atom
space-group type = Ibam


Record 3
The following is a GGA-PBE calculation of an optimized crystal structure of Li3AgPb3, from Alexandria via LeMat-Bulk.

Cell lengths 6.9968, 6.9968, 6.8445 Å; angles 90.79, 90.79, 86.27 degrees
Sites, in units of the cell vectors:
Li (0.1999, 0.8001, 0.0000)
Li (0.2370, 0.7630, 0.5000)
Li (0.2485, 0.2485, 0.4605)
Li (0.7515, 0.7515, 0.5395)
Li (0.7630, 0.2370, 0.5000)
Li (0.8001, 0.1999, 0.0000)
Ag (0.2128, 0.2128, 0.0549)
Ag (0.7872, 0.7872, 0.9451)
Pb (0.0265, 0.4751, 0.7523)
Pb (0.4751, 0.0265, 0.7523)
Pb (0.4941, 0.4941, 0.7615)
Pb (0.5059, 0.5059, 0.2385)
Pb (0.5249, 0.9735, 0.2477)
Pb (0.9735, 0.5249, 0.2477)

Calculated values
N(E_F) = 1.68 states/eV/f.u.
____________
5% effective corporate tax rate, no withholding, capital gains or entry or exit taxes. No inheritance or wealth taxes.
This document compares the parallel programming support in Haskell, F#, and Scala by looking at their language features, high-level abstractions for parallelism, and experimental results from implementing the n-body problem on multi-core systems. It finds that all three languages provide good support for parallelism through features like parallel collections, tasks, actors, and strategies/skeletons. Haskell uses the par and pseq primitives as well as evaluation strategies. F# utilizes tasks from the Task Parallel Library and async workflows. Scala supports parallel collections and actors. Experimental results on implementing the n-body problem in the languages show they can all effectively utilize multiple cores.
The history of photography began in the 15th century with the camera obscura. In the 19th century, Nicephore Niepce created the first permanent photograph in 1826 and the daguerreotype process was announced in 1839. Major developments included the calotype process by Henry Talbot in 1841, wet plate collodion by Frederick Scott Archer in 1851, and roll film technology by George Eastman in 1888 that led to the popular Kodak camera. The first digital camera was invented in 1988.
An overview of the laws and fiscal benefits of using Malta as an EU tax efficient jurisdiction for asset structuring, trusts and investment vehicles.
A legitimate low tax EU jurisdiction.
5% effective corporate tax rate, no withholding, capital gains or entry or exit taxes. No inheritance or wealth taxes.
The document provides an overview of the operational and statutory requirements for obtaining a remote gaming license in Malta. It outlines 19 documents/policies that must be submitted as part of the license application process, including requirements for a Maltese company registration, memorandum and articles of association, business entity information form, various IT and security policies, human resources documents, financial accounting procedures, and business continuity plans. It then provides details on the content and purpose of each required document to demonstrate compliance with Malta's gaming licensing rules and regulations.
This document compares the parallel programming support in Haskell, F#, and Scala by looking at their language features, high-level abstractions for parallelism, and experimental results from implementing the n-body problem on multi-core systems. It finds that all three languages provide good support for parallelism through features like parallel collections, tasks, actors, and strategies/skeletons. Haskell uses the par and pseq primitives as well as evaluation strategies. F# utilizes tasks from the Task Parallel Library and async workflows. Scala supports parallel collections and actors. Experimental results on implementing the n-body problem in the languages show they can all effectively utilize multiple cores.
The history of photography began in the 15th century with the camera obscura. In the 19th century, Nicephore Niepce created the first permanent photograph in 1826 and the daguerreotype process was announced in 1839. Major developments included the calotype process by Henry Talbot in 1841, wet plate collodion by Frederick Scott Archer in 1851, and roll film technology by George Eastman in 1888 that led to the popular Kodak camera. The first digital camera was invented in 1988.
An overview of the laws and fiscal benefits of using Malta as an EU tax efficient jurisdiction for asset structuring, trusts and investment vehicles.
A legitimate low tax EU jurisdiction.
5% effective corporate tax rate, no withholding, capital gains or entry or exit taxes. No inheritance or wealth taxes.
# Data records that have nothing to do with the text
Entry 1:
Density functional theory data (PBE-GGA) for a geometry-optimized ZrAl2Si2 structure.

a = 7.0948 Å, b = 7.0948 Å, c = 3.3937 Å
α = 90.00°, β = 90.00°, γ = 90.00°
Closest atoms and distances in Å follow each position.
Fractional coordinates of all 10 atoms:
Si: 0.8300 0.6700 0.5000  6 Al 2.65-2.72
Zr: 0.5000 0.5000 0.0000  4 Al 2.79
Si: 0.6700 0.1700 0.5000  6 Al 2.65-2.72
Si: 0.1700 0.3300 0.5000  6 Al 2.65-2.72
Zr: 0.0000 0.0000 0.0000  4 Al 2.79
Al: 0.1272 0.6272 0.0000  1 Al 2.55, 6 Si 2.65-2.72, 2 Zr 2.79
Si: 0.3300 0.8300 0.5000  6 Al 2.65-2.72
Al: 0.6272 0.8728 0.0000  1 Al 2.55, 6 Si 2.65-2.72, 2 Zr 2.79
Al: 0.8728 0.3728 0.0000  1 Al 2.55, 6 Si 2.65-2.72, 2 Zr 2.79
Al: 0.3728 0.1272 0.0000  1 Al 2.55, 6 Si 2.65-2.72, 2 Zr 2.79

Results
For the raw formation energy, the calculation gives 0.003 eV/atom. For the total energy, the calculation gives -53.73 eV for the cell shown.

---

Entry 2:
Density functional theory data (PBE-GGA) for a geometry-optimized Tl2ZnMo structure.

a = 3.0047 Å, b = 3.0047 Å, c = 9.3900 Å
α = 90.00°, β = 90.00°, γ = 90.00°
Closest atoms and distances in Å follow each position.
Fractional coordinates of all 4 atoms:
Zn: 0.5000 0.5000 0.2500  4 Zn 3.00, 8 Tl 3.23
Tl: 0.0000 0.0000 0.9908  4 Tl 3.00, 4 Mo 3.10, 4 Zn 3.23
Mo: 0.5000 0.5000 0.7500  4 Mo 3.00, 8 Tl 3.10
Tl: 0.0000 0.0000 0.5092  4 Tl 3.00, 4 Mo 3.10, 4 Zn 3.23

Results
The energy above the most stable polymorph in this dataset is 0.216 eV/atom. For the total energy, the calculation gives -14.08 eV for the cell shown.

---

Entry 3:
Density functional theory data (PBE-GGA) for a geometry-optimized Tm2MnSn structure.

a = 4.1740 Å, b = 4.7272 Å, c = 4.7272 Å
α = 90.00°, β = 90.00°, γ = 90.00°
Closest atoms and distances in Å follow each position.
Fractional coordinates of all 4 atoms:
Tm: 0.0000 0.0000 0.5000  4 Mn 3.15, 4 Sn 3.15, 4 Tm 3.34
Sn: 0.5000 0.5000 0.5000  8 Tm 3.15, 4 Mn 3.34
Mn: 0.5000 0.0000 0.0000  8 Tm 3.15, 4 Sn 3.34
Tm: 0.0000 0.5000 0.0000  4 Mn 3.15, 4 Sn 3.15, 4 Tm 3.34

Results
The energy above the most stable polymorph in this dataset is 0.005 eV/atom. For the total energy, the calculation gives -23.05 eV for the cell shown.

---

Entry 4:
Density functional theory data (PBE-GGA) for a geometry-optimized VGe2P2 structure.

a = 6.8599 Å, b = 6.8599 Å, c = 3.4946 Å
α = 90.00°, β = 90.00°, γ = 90.00°
Closest atoms and distances in Å follow each position.
Fractional coordinates of all 10 atoms:
Ge: 0.3695 0.8695 0.0000  2 P 2.38, 1 Ge 2.53
P: 0.2964 0.2036 0.5000  2 Ge 2.38
P: 0.7036 0.7964 0.5000  2 Ge 2.38
P: 0.7964 0.2964 0.5000  2 Ge 2.38
P: 0.2036 0.7036 0.5000  2 Ge 2.38
Ge: 0.6305 0.1305 0.0000  2 P 2.38, 1 Ge 2.53
Ge: 0.1305 0.3695 0.0000  2 P 2.38, 1 Ge 2.53
V: 0.0000 0.0000 0.0000  4 Ge 2.69
V: 0.5000 0.5000 0.0000  4 Ge 2.69
Ge: 0.8695 0.6305 0.0000  2 P 2.38, 1 Ge 2.53

Results
The document provides an overview of the operational and statutory requirements for obtaining a remote gaming license in Malta. It outlines 19 documents/policies that must be submitted as part of the license application process, including requirements for a Maltese company registration, memorandum and articles of association, business entity information form, various IT and security policies, human resources documents, financial accounting procedures, and business continuity plans. It then provides details on the content and purpose of each required document to demonstrate compliance with Malta's gaming licensing rules and regulations.